Brief:
What is needed: copy everything underneath without altering anything.
Given:
<<<
Record 1
# La2MoIr PBE relaxed
# Formation energy ... 13.84 kJ per mole of atoms
# Energy relative to the lowest polymorph listed for this composition ... 251 meV per atom
# Total magnetic moment ... 2.41 μB/f.u.
# Raw total energy ... -29.0 eV per cell
data_La2MoIr
_space_group_name_H-M_alt 'P 4/m m m'
_space_group_IT_number 123
_space_group_name_Hall '-P 4 2'
_cell_length_a 3.681
_cell_length_b 3.681
_cell_length_c 7.141
_cell_angle_alpha 90.00
_cell_angle_beta 90.00
_cell_angle_gamma 90.00
loop_
_atom_site_label
_atom_site_type_symbol
_atom_site_fract_x
_atom_site_fract_y
_atom_site_fract_z
La1 La 0.000 0.000 0.232
Mo1 Mo 0.500 0.500 0.500
Ir1 Ir 0.500 0.500 0.000


Record 2
# LaMoIr2 PBE relaxed
# Formation energy ... 16.09 kJ per mole of atoms
# Energy relative to the lowest polymorph listed for this composition ... 387 meV per atom
# Total magnetic moment ... 0.00 μB/f.u.
# Raw total energy ... -131.3 eV per cell
data_LaMoIr2
_space_group_name_H-M_alt 'I -4 2 d'
_space_group_IT_number 122
_space_group_name_Hall 'I -4 2bw'
_cell_length_a 7.504
_cell_length_b 7.504
_cell_length_c 5.898
_cell_angle_alpha 90.00
_cell_angle_beta 90.00
_cell_angle_gamma 90.00
loop_
_atom_site_label
_atom_site_type_symbol
_atom_site_fract_x
_atom_site_fract_y
_atom_site_fract_z
La1 La 0.000 0.000 0.000
Mo1 Mo 0.000 0.000 0.500
Ir1 Ir 0.198 0.250 0.625


Record 3
# La2MoIr PBE relaxed
# Formation energy ... 2.23 kJ per mole of atoms
# Energy relative to the lowest polymorph listed for this composition ... 130 meV per atom
# Total magnetic moment ... 0.01 μB/f.u.
# Raw total energy ... -58.9 eV per cell
data_La2MoIr
_space_group_name_H-M_alt 'I m m 2'
_space_group_IT_number 44
_cell_length_a 3.622
_cell_length_b 4.800
_cell_length_c 11.657
_cell_angle_alpha 90.00
_cell_angle_beta 90.00
_cell_angle_gamma 90.00
loop_
_space_group_symop_operation_xyz
'x,y,z'
'-x,-y,z'
'-x,y,z'
'x,-y,z'
'x+1/2,y+1/2,z+1/2'
'-x+1/2,-y+1/2,z+1/2'
'-x+1/2,y+1/2,z+1/2'
'x+1/2,-y+1/2,z+1/2'
loop_
_atom_site_label
_atom_site_type_symbol
_atom_site_fract_x
_atom_site_fract_y
_atom_site_fract_z
La1 La 0.000 0.000 0.000
La2 La 0.000 0.500 0.214
Mo1 Mo 0.000 0.500 0.783
Ir1 Ir 0.000 0.000 0.429

* * * * *

SrLaAs at its PBEsol-relaxed geometry, computed with SCAN.

- energy relative to the elements (eV/atom) = 0.04
- V (Å³/cell) = 89.5
- total magnetic moment (μB per formula unit) = 0.0
- space-group type = No. 216

Cell: 5.0203 5.0203 5.0203 Å, 60.00 60.00 60.00°
Fractional coordinates of all 3 atoms:
Sr1 0.2500 0.2500 0.2500
As1 0.0000 0.0000 0.0000
La1 0.5000 0.5000 0.5000

* * * * *

Computed, not measured: a relaxed ThSi2Tc2P crystal at the PBE level of DFT.

Cell: 4.4199 4.4199 5.4861 Å, 90.00 90.00 90.00°
Closest atoms and distances in Å follow each position.
Positions (direct):
Tc 0.5000 0.0000 0.0000  2 P 2.21
Tc 0.0000 0.5000 0.0000  2 P 2.21
P 0.0000 0.0000 0.0000  4 Tc 2.21
Si 0.5000 0.5000 0.2793  1 Si 2.42, 4 Tc 2.69
Si 0.5000 0.5000 0.7207  1 Si 2.42, 4 Tc 2.69
Th 0.0000 0.0000 0.5000  2 P 2.74

Summary:
>>>
Done:
Record 1
# La2MoIr PBE relaxed
# Formation energy ... 13.84 kJ per mole of atoms
# Energy relative to the lowest polymorph listed for this composition ... 251 meV per atom
# Total magnetic moment ... 2.41 μB/f.u.
# Raw total energy ... -29.0 eV per cell
data_La2MoIr
_space_group_name_H-M_alt 'P 4/m m m'
_space_group_IT_number 123
_space_group_name_Hall '-P 4 2'
_cell_length_a 3.681
_cell_length_b 3.681
_cell_length_c 7.141
_cell_angle_alpha 90.00
_cell_angle_beta 90.00
_cell_angle_gamma 90.00
loop_
_atom_site_label
_atom_site_type_symbol
_atom_site_fract_x
_atom_site_fract_y
_atom_site_fract_z
La1 La 0.000 0.000 0.232
Mo1 Mo 0.500 0.500 0.500
Ir1 Ir 0.500 0.500 0.000


Record 2
# LaMoIr2 PBE relaxed
# Formation energy ... 16.09 kJ per mole of atoms
# Energy relative to the lowest polymorph listed for this composition ... 387 meV per atom
# Total magnetic moment ... 0.00 μB/f.u.
# Raw total energy ... -131.3 eV per cell
data_LaMoIr2
_space_group_name_H-M_alt 'I -4 2 d'
_space_group_IT_number 122
_space_group_name_Hall 'I -4 2bw'
_cell_length_a 7.504
_cell_length_b 7.504
_cell_length_c 5.898
_cell_angle_alpha 90.00
_cell_angle_beta 90.00
_cell_angle_gamma 90.00
loop_
_atom_site_label
_atom_site_type_symbol
_atom_site_fract_x
_atom_site_fract_y
_atom_site_fract_z
La1 La 0.000 0.000 0.000
Mo1 Mo 0.000 0.000 0.500
Ir1 Ir 0.198 0.250 0.625


Record 3
# La2MoIr PBE relaxed
# Formation energy ... 2.23 kJ per mole of atoms
# Energy relative to the lowest polymorph listed for this composition ... 130 meV per atom
# Total magnetic moment ... 0.01 μB/f.u.
# Raw total energy ... -58.9 eV per cell
data_La2MoIr
_space_group_name_H-M_alt 'I m m 2'
_space_group_IT_number 44
_cell_length_a 3.622
_cell_length_b 4.800
_cell_length_c 11.657
_cell_angle_alpha 90.00
_cell_angle_beta 90.00
_cell_angle_gamma 90.00
loop_
_space_group_symop_operation_xyz
'x,y,z'
'-x,-y,z'
'-x,y,z'
'x,-y,z'
'x+1/2,y+1/2,z+1/2'
'-x+1/2,-y+1/2,z+1/2'
'-x+1/2,y+1/2,z+1/2'
'x+1/2,-y+1/2,z+1/2'
loop_
_atom_site_label
_atom_site_type_symbol
_atom_site_fract_x
_atom_site_fract_y
_atom_site_fract_z
La1 La 0.000 0.000 0.000
La2 La 0.000 0.500 0.214
Mo1 Mo 0.000 0.500 0.783
Ir1 Ir 0.000 0.000 0.429

* * * * *

SrLaAs at its PBEsol-relaxed geometry, computed with SCAN.

- energy relative to the elements (eV/atom) = 0.04
- V (Å³/cell) = 89.5
- total magnetic moment (μB per formula unit) = 0.0
- space-group type = No. 216

Cell: 5.0203 5.0203 5.0203 Å, 60.00 60.00 60.00°
Fractional coordinates of all 3 atoms:
Sr1 0.2500 0.2500 0.2500
As1 0.0000 0.0000 0.0000
La1 0.5000 0.5000 0.5000

* * * * *

Computed, not measured: a relaxed ThSi2Tc2P crystal at the PBE level of DFT.

Cell: 4.4199 4.4199 5.4861 Å, 90.00 90.00 90.00°
Closest atoms and distances in Å follow each position.
Positions (direct):
Tc 0.5000 0.0000 0.0000  2 P 2.21
Tc 0.0000 0.5000 0.0000  2 P 2.21
P 0.0000 0.0000 0.0000  4 Tc 2.21
Si 0.5000 0.5000 0.2793  1 Si 2.42, 4 Tc 2.69
Si 0.5000 0.5000 0.7207  1 Si 2.42, 4 Tc 2.69
Th 0.0000 0.0000 0.5000  2 P 2.74

Summary: